4.8. Writing Initial-State Values

(Unrelated to this entry: records of crystals)
-- begin --
Computed powder X-ray diffraction pattern of SmZrSc6 for CuKα, from a structure optimized by DFT (PBE).
Peak positions follow from Bragg's law for the DFT cell and can differ from measured ones.

The 10 most intense peaks (2θ from 5° to 70°), sorted by position:
- d 4.685, 2θ = 18.94°, I 92
- d 4.632, 2θ = 19.16°, I 174
- d 3.294, 2θ = 27.07°, I 153
- d 2.684, 2θ = 33.38°, I 1000
- d 2.343, 2θ = 38.43°, I 162
- d 2.316, 2θ = 38.89°, I 326
- d 1.647, 2θ = 55.82°, I 206
- d 1.638, 2θ = 56.17°, I 105
- d 1.410, 2θ = 66.31°, I 113
- d 1.398, 2θ = 66.93°, I 238

a = 4.632 Å, b = 4.632 Å, c = 9.370 Å
α = 90.00°, β = 90.00°, γ = 90.00°
Space group P4/mmm (No. 123)
Inequivalent atoms, fractional coordinates:
Sm 0.000 0.000 0.000
Zr 0.000 0.000 0.500
Sc 0.000 0.500 0.263
Sc 0.500 0.500 0.000
Sc 0.500 0.500 0.500

~~~~~

Record 1
The following is a calculated XRD peak list of Sc2Fe3Si. It was derived from a DFT-relaxed cell (GGA-PBE, Alexandria), using Cu Kα (λ = 1.5418 Å).
No peak broadening, texture or thermal motion is included.

Structural model:
Lattice parameters (Å, degrees): 4.978 4.978 7.858 90.00 90.00 120.00
Fractional positions:
Sc: 0.333 0.667 0.063
Sc: 0.333 0.667 0.437
Sc: 0.667 0.333 0.563
Sc: 0.667 0.333 0.937
Fe: 0.172 0.343 0.750
Fe: 0.172 0.828 0.750
Fe: 0.343 0.172 0.250
Fe: 0.657 0.828 0.750
Fe: 0.828 0.172 0.250
Fe: 0.828 0.657 0.250
Si: 0.000 0.000 0.000
Si: 0.000 0.000 0.500

Most intense lines, 2θ = 10–90°, in order of rising 2θ:
| d [Å] | I_rel |
| --- | --- |
| 3.929 | 22 |
| 2.239 | 61 |
| 2.156 | 18 |
| 2.103 | 69 |
| 2.079 | 100 |
| 1.384 | 19 |
| 1.270 | 26 |
| 1.245 | 21 |

Record 2
The following is a calculated XRD peak list of LaTb3Ho2. It was derived from a DFT-relaxed cell (GGA-PBE, Alexandria), using Cu Kα (λ = 1.5418 Å).
No peak broadening, texture or thermal motion is included.

Structural model:
Lattice parameters (Å, degrees): 9.504 9.504 11.624 90.00 90.00 158.16
Fractional positions:
La: 0.220 0.780 0.750
La: 0.780 0.220 0.250
Tb: 0.108 0.892 0.250
Tb: 0.335 0.665 0.503
Tb: 0.335 0.665 0.997
Tb: 0.665 0.335 0.003
Tb: 0.665 0.335 0.497
Tb: 0.892 0.108 0.750
Ho: 0.000 0.000 0.000
Ho: 0.000 0.000 0.500
Ho: 0.447 0.553 0.250
Ho: 0.553 0.447 0.750

Most intense lines, 2θ = 10–90°, in order of rising 2θ:
| d [Å] | I_rel |
| --- | --- |
| 3.008 | 40 |
| 2.906 | 34 |
| 2.745 | 100 |
| 2.427 | 22 |
| 1.798 | 25 |
| 1.645 | 22 |
| 1.529 | 30 |
| 1.130 | 11 |

Record 3
The following is a calculated XRD peak list of CaMgBe2. It was derived from a DFT-relaxed cell (GGA-PBE, Alexandria), using Cu Kα (λ = 1.5418 Å).
No peak broadening, texture or thermal motion is included.

Structural model:
Lattice parameters (Å, degrees): 3.940 5.704 5.704 36.92 90.00 90.00
Fractional positions:
Ca: 0.000 0.000 0.000
Mg: 0.500 0.709 0.709
Be: 0.000 0.292 0.292
Be: 0.500 0.378 0.378

Most intense lines, 2θ = 10–90°, in order of rising 2θ:
| d [Å] | I_rel |
| --- | --- |
| 3.426 | 34 |
| 3.185 | 95 |
| 2.705 | 26 |
| 2.586 | 100 |
-- stop --
(So much for the records of crystals)

Issue an INISTATE,WRITE command (available in the solution processor only) to write a set of initial-state values to a file. You can issue the command multiple times to modify or overwrite your initial-state values.

4.8.1. Example: Output From the INISTATE Command's WRITE Option

/*
The following is a computed X-ray powder pattern of Sr2ScAs4Pt3. It was derived from a DFT-relaxed cell (PBE, Alexandria), using Cu Kα (weighted mean of Kα1 and Kα2).

Peak list (12 most intense, 5° ≤ 2θ ≤ 70°, by intensity)
- (1 0 3), 32.19°, I 100
- (2 0 0), 40.47°, I 99
- (1 1 2), 33.00°, I 86
- (1 1 4), 44.48°, I 68
- (2 1 3), 52.62°, I 50
- (1 0 1), 21.60°, I 49
- (2 2 0), 58.57°, I 33
- (1 1 1), 29.55°, I 31
- (1 0 2), 26.04°, I 30
- (1 0 5), 47.20°, I 26
- (0 0 1), 8.28°, I 25
- (1 1 0), 28.31°, I 22

Cell and atoms:
Cell lengths 4.4580, 4.4580, 10.6749 Å; angles 90.00, 90.00, 90.00 degrees
Fractional positions:
Sr  0.0000  0.5000  0.2348
Sr  0.5000  0.0000  0.7652
Sc  0.0000  0.0000  0.5000
As  0.0000  0.0000  0.0000
As  0.0000  0.5000  0.6425
As  0.5000  0.0000  0.3575
As  0.5000  0.5000  0.0000
Pt  0.0000  0.5000  0.8851
Pt  0.5000  0.0000  0.1149
Pt  0.5000  0.5000  0.5000


Computed powder XRD pattern
Compound: Sr2CaV2Si4O14
Radiation: Cu Kα, 1.54184 Å
Structure: DFT lattice parameters and positions (GGA+U)

Principal peaks in the range 2θ from 10° to 90°, low angle first:
- 4.587 Å, rel. 60.8, hkl 0 1 -1
- 3.616 Å, rel. 60.8, hkl 0 0 2
- 3.220 Å, rel. 85.2, hkl 1 2 1
- 3.207 Å, rel. 100.0, hkl 1 -2 0
- 2.799 Å, rel. 71.6, hkl 2 0 1
- 2.539 Å, rel. 49.2, hkl 1 0 3

Cell and atoms:
```
23
Lattice="5.6004 0.0000 0.0000 0.0280 7.8534 0.0000 2.5967 2.1964 7.2324" Properties=species:S:1:pos:R:3 pbc="T T T"
Sr 0.0000 0.0000 0.0000
Sr 2.4546 5.5579 2.3406
Ca 2.4668 2.1213 2.0038
V 2.6337 6.0425 7.0936
V 2.1558 7.9827 4.2981
Si 5.4239 8.2709 6.5671
Si 5.4559 3.7532 6.3496
Si 5.1619 7.4337 3.4250
Si 5.2123 4.1490 3.2152
O 2.3520 1.7179 4.8826
O 2.4881 6.3966 4.9732
O 4.0217 7.7917 7.2121
O 4.0672 4.3133 6.9939
O 3.7206 8.0129 2.9443
O 3.7363 3.6473 2.8769
O 5.3609 2.0863 6.6600
O 5.6022 7.8252 4.9689
O 5.6933 3.8807 4.7495
O 5.1577 5.8347 3.1306
O 4.1220 5.5840 0.1700
O 4.1111 2.0910 0.0137
O 6.5276 7.9785 2.6398
O 6.3352 3.6892 2.1329
```


[1]
Theoretical X-ray diffraction stick pattern of LiPrMgTe3 for Cu Kα (weighted mean of Kα1 and Kα2), from DFT lattice parameters and positions (GGA-PBE).

The 12 most intense peaks (5 to 70 degrees two-theta), most intense first:
| 2θ/deg | I_rel |
| --- | --- |
| 29.5 | 100 |
| 29.7 | 67 |
| 29.0 | 49 |
| 41.7 | 43 |
| 28.3 | 43 |
| 41.8 | 40 |
| 28.4 | 37 |
| 32.0 | 35 |
| 26.1 | 32 |
| 25.4 | 28 |
| 51.6 | 25 |
| 60.5 | 25 |

Cell and atoms:
a b c (Å): 8.666 4.325 9.548
angles (deg): 90.00 104.54 90.00
Fractional coordinates of all 12 atoms:
Li1 0.091 0.250 0.092
Li2 0.909 0.750 0.908
Pr1 0.195 0.250 0.742
Pr2 0.805 0.750 0.258
Mg1 0.332 0.750 0.338
Mg2 0.668 0.250 0.662
Te1 0.094 0.250 0.375
Te2 0.242 0.750 0.010
Te3 0.429 0.750 0.652
Te4 0.571 0.250 0.348
Te5 0.758 0.250 0.990
Te6 0.906 0.750 0.625

=====

[2]
Theoretical X-ray diffraction stick pattern of Ac8Tl2In for Cu Kα (weighted mean of Kα1 and Kα2), from DFT lattice parameters and positions (GGA-PBE).
*/
## The data records stop here

The initial-stress file written by the INISTATE,WRITE command has the same format as that of the input file. The stresses in the file are those calculated at the integration points when the convergence occurs in a nonlinear analysis. If the analysis type is linear, the stresses are those calculated when the solution is finished. An example initial-stress file resulting from this command follows:

### Misplaced data records
1.
The following is a calculated PXRD pattern of Ca4In3P2. It was derived from a crystal structure in Alexandria, relaxed with PBE, using Cu Kα.

Atomic structure:
abc: 5.6580 16.7098 5.3068
angles: 90.00 90.00 90.00
Space group Pnnm (No. 58)
Symmetry-distinct sites (fractional):
Ca  0.1903  0.1478  0.0000 [4 per cell]
Ca  0.2391  0.4024  0.0000 [4 per cell]
In  0.0000  0.5000  0.5000 [2 per cell]
In  0.2013  0.2529  0.5000 [4 per cell]
P  0.2404  0.0853  0.5000 [4 per cell]

Top 10 peaks for 15 to 90 degrees two-theta, low angle first:
- 2θ 22.98, I 265, hkl 1 0 1
- 2θ 23.59, I 421, hkl 1 1 1
- 2θ 28.07, I 1000, hkl 1 3 1
- 2θ 31.51, I 473, hkl 1 4 1
- 2θ 31.63, I 574, hkl 2 0 0
- 2θ 33.44, I 311, hkl 2 2 0
- 2θ 33.78, I 712, hkl 0 0 2
- 2θ 35.49, I 784, hkl 1 5 1
- 2θ 36.39, I 266, hkl 2 1 1
- 2θ 45.71, I 270, hkl 2 6 0


2.
The following is a calculated PXRD pattern of Dy3Pu5S8. It was derived from a crystal structure in Alexandria, relaxed with PBE, using Cu Kα.

Atomic structure:
abc: 7.8828 7.8828 19.2011
angles: 90.00 90.00 120.00
Space group R-3m (No. 166, hexagonal axes)
Symmetry-distinct sites (fractional):
Dy  0.0000  0.5000  0.0000 [9 per cell]
Pu  0.0000  0.0000  0.0000 [3 per cell]
Pu  0.0000  0.0000  0.5000 [3 per cell]
Pu  0.0000  0.5000  0.5000 [9 per cell]
S  0.0000  0.0000  0.2510 [6 per cell]
S  0.0008  0.5004  0.2509 [18 per cell]

Top 10 peaks for 15 to 90 degrees two-theta, low angle first:
- 2θ 27.74, I 746, hkl 2 0 2
- 2θ 27.88, I 246, hkl 0 0 6
- 2θ 32.18, I 1000, hkl 0 2 4
- 2θ 46.06, I 370, hkl 2 2 0
- 2θ 46.24, I 366, hkl 2 0 8
- 2θ 54.67, I 372, hkl 2 2 6
- 2θ 57.29, I 194, hkl 4 0 4
- 2θ 76.45, I 169, hkl 2 4 4
- 2θ 76.72, I 167, hkl 2 2 12
- 2θ 85.44, I 130, hkl 4 2 8


3.
The following is a calculated PXRD pattern of Cs2ZrBr7. It was derived from a crystal structure in Alexandria, relaxed with PBE, using Cu Kα.

Atomic structure:
abc: 8.3426 8.3426 12.4914
angles: 90.00 90.00 90.00
Space group I4/mmm (No. 139)
Symmetry-distinct sites (fractional):
Cs  0.0000  0.5000  0.2500 [4 per cell]
Zr  0.0000  0.0000  0.0000 [2 per cell]
Br  0.0000  0.0000  0.2120 [4 per cell]
Br  0.0000  0.0000  0.5000 [2 per cell]
Br  0.2247  0.2247  0.0000 [8 per cell]

Top 10 peaks for 15 to 90 degrees two-theta, low angle first:
- 2θ 20.71, I 508, hkl 1 1 2
- 2θ 21.30, I 221, hkl 2 0 0
- 2θ 25.68, I 1000, hkl 2 0 2
- 2θ 28.58, I 476, hkl 0 0 4
- 2θ 30.30, I 888, hkl 2 2 0
- 2θ 36.99, I 180, hkl 3 1 2
- 2θ 42.14, I 600, hkl 2 2 4
- 2θ 43.39, I 311, hkl 4 0 0
- 2θ 51.10, I 230, hkl 4 2 2
- 2θ 52.78, I 284, hkl 4 0 4


4.
The following is a calculated PXRD pattern of Li3PaPd4. It was derived from a crystal structure in Alexandria, relaxed with PBE, using Cu Kα.

Atomic structure:
abc: 6.3686 6.3686 6.3686
angles: 90.00 90.00 90.00
Space group Im-3m (No. 229)
Symmetry-distinct sites (fractional):
Li  0.0000  0.0000  0.5000 [6 per cell]
Pa  0.0000  0.0000  0.0000 [2 per cell]
Pd  0.2500  0.2500  0.2500 [8 per cell]

!***********************************      INITIAL-STRESS FILE    *************************
!***********************************           t.ist             *************************
!***********************************      HEADER INFORMATION     *************************
!****************************     INITIAL-STRESS DATA     ********************************
!ELEM ID  ELEM INTG LAY/CELL SECT INTG  SX     SY      SZ            SXY    SYZ     SXZ  
    1,      1,        1,       1,   -3.50063    ,  -23.2768    ,   0.00000    ,  -2.04204 
    1,      2,        1,       1,    3.50063    ,  0.607255E-01,   0.0000     ,  -2.04204 
    1,      3,        1,       1,    3.50063    ,  0.607255E-01,   0.00000    ,   2.04204 
    1,      4,        1,       1,   -3.50063    ,  -23.2768    ,   0.00000    ,   2.04204 
    2,      1,        1,       1,    0.791614   ,   5.26355    ,   0.00000    ,  0.461775 
    2,      2,        1,       1,   -0.791614   , -0.138827E-01,   0.00000    ,  0.461775 
    2,      3,        1,       1,   -0.791614   , -0.138827E-01,   0.00000    , -0.461775 
    2,      4,        1,       1,    0.791614   ,   5.26355    ,   0.00000    , -0.461775 
    3,      1,        1,       1,  -0.179107    ,  -1.19024    ,   0.00000    , -0.104479 
    3,      2,        1,       1,   0.179107    ,  0.380702E-02,   0.00000    , -0.104479 
    3,      3,        1,       1,   0.179107    ,  0.380702E-02,   0.00000    ,  0.104479 
    3,      4,        1,       1,  -0.179107    ,  -1.19024    ,   0.00000    ,  0.104479 
    4,      1,        1,       1,   0.409451E-01,  0.269154    ,   0.00000    ,  0.238847E-01 
    4,      2,        1,       1,  -0.409451E-01, -0.381382E-02,   0.00000    ,  0.238847E-01 
    4,      3,        1,       1,  -0.409451E-01, -0.381382E-02,   0.00000    , -0.238847E-01 
    4,      4,        1,       1,   0.409451E-01,  0.269154    ,   0.00000    , -0.238847E-01 
    5,      1,        1,       1,  -0.112228E-01, -0.608972E-01,   0.00000    , -0.654661E-02 
    5,      2,        1,       1,   0.112228E-01,  0.139211E-01,   0.00000    , -0.654661E-02 
    5,      3,        1,       1,   0.112228E-01,  0.139211E-01,   0.00000    ,  0.654661E-02 
    5,      4,        1,       1,  -0.112228E-01, -0.608972E-01,   0.00000    ,  0.654661E-02